
It's finished.  The game is so perfect that Sony is worried that people won't need to buy any more games after they play it so they are keeping off the shelves while they sell lesser games to the masses.  There do conduct closed room playthroughs for high level executives, their families and for top Japanese

You don't need to commit to the spin offs to start on sandman.  Although some are good, the original series stands alone and doesn't really cross over with other books during its run.  The full 75 issues will take several sittings to get through, but its a smaller time commitment than a medium sized novel. 

Archer doesn't actually have the audio from one scene carry over into the other though.  Instead it just has the first line in the new scene fit as an answer to a question (or a reply to a statement) left hanging in the previous scene.  So I don't know what that's called. 

She's the Michael Bluth of Archer.  Saner than her peers but still not nearly as much as she thinks she is. 

@avclub-87caf7c42aedbada42572e2374eed08d:disqus Do the Canadians get American Idol and the other singing contests shows? Are they big there or do you have your own versions?

@avclub-87caf7c42aedbada42572e2374eed08d:disqus Do the Canadians get American Idol and the other singing contests shows? Are they big there or do you have your own versions?

I am pretty sure China has invaded Japan, Korea, Taiwan, and Vietnam. 

Yeah china cares.  They love to take offense at how they are portrayed in foreign film because helps rally people around the government.  Seems like most countries do this.

Here the entry breaks off for data records:
/*
[1]
VASP calculation (PBE) on a relaxed structure of Cs2KCuP.

energy of formation	-0.006	eV/atom
total energy	-2.47	eV/atom
crystal system	tetragonal
volume	44.4	A^3/atom
space group	No. 123

a = 7.1348 Å, b = 7.1348 Å, c = 4.3651 Å
α = 90.00°, β = 90.00°, γ = 90.00°
Atoms (fractional coordinates):
Cs: 0.0000 0.5000 0.0000
Cs: 0.5000 0.0000 0.0000
P: 0.0000 0.0000 0.5000
K: 0.5000 0.5000 0.5000
Cu: 0.0000 0.0000 0.0000

[2]
VASP calculation (PBE) on a relaxed structure of CsKCuSe2.

uncorrected formation energy	-659	meV per atom
total energy	-3.26	eV/atom
crystal system	orthorhombic
volume	31.6	A^3/atom
space group	No. 51

a = 7.0599 Å, b = 5.6052 Å, c = 7.9823 Å
α = 90.00°, β = 90.00°, γ = 90.00°
Atoms (fractional coordinates):
Cs: 0.2180 0.2500 0.5000
Cs: 0.7820 0.7500 0.5000
K: 0.6075 0.7500 0.0000
K: 0.3925 0.2500 0.0000
Cu: 0.0000 0.0000 0.0000
Cu: 0.0000 0.5000 0.0000
Se: 0.8145 0.2500 0.7949
Se: 0.8145 0.2500 0.2051
Se: 0.1855 0.7500 0.7949
Se: 0.1855 0.7500 0.2051

[3]
VASP calculation (PBE) on a relaxed structure of CsK2CuSn.

energy of formation	0.045	eV/atom
total energy	-2.18	eV/atom
crystal system	tetragonal
volume	40.0	A^3/atom
space group	No. 123

a = 6.3244 Å, b = 6.3244 Å, c = 4.9998 Å
α = 90.00°, β = 90.00°, γ = 90.00°
Atoms (fractional coordinates):
Cs: 0.5000 0.5000 0.5000
K: 0.0000 0.5000 0.0000
K: 0.5000 0.0000 0.0000
Sn: 0.0000 0.0000 0.5000
Cu: 0.0000 0.0000 0.0000

[4]
VASP calculation (PBE) on a relaxed structure of CsKSr2Cu.

energy of formation	0.146	eV/atom
energy above the most stable polymorph in this dataset	0.006	eV per atom
total energy	-1.74	eV/atom
crystal system	tetragonal
volume	54.8	A^3/atom
space group	No. 123

a = 6.2295 Å, b = 6.2295 Å, c = 7.0569 Å
α = 90.00°, β = 90.00°, γ = 90.00°
Atoms (fractional coordinates):
Cs: 0.5000 0.5000 0.5000
Sr: 0.0000 0.5000 0.0000
Sr: 0.5000 0.0000 0.0000
K: 0.0000 0.0000 0.5000
Cu: 0.0000 0.0000 0.0000

[5]
VASP calculation (PBE) on a relaxed structure of CsKSr2Cu.

energy of formation	0.140	eV/atom
energy above the most stable polymorph in this dataset	0.000	eV per atom
total energy	-1.74	eV/atom
crystal system	tetragonal
volume	55.7	A^3/atom
space group	No. 123

a = 6.2528 Å, b = 6.2528 Å, c = 7.1214 Å
α = 90.00°, β = 90.00°, γ = 90.00°
Atoms (fractional coordinates):
Cs: 0.0000 0.0000 0.5000
Sr: 0.0000 0.5000 0.0000
Sr: 0.5000 0.0000 0.0000
K: 0.5000 0.5000 0.5000
Cu: 0.0000 0.0000 0.0000

[6]
VASP calculation (PBE) on a relaxed structure of CsK2TlCu.

energy of formation	0.139	eV/atom
energy above the most stable polymorph in this dataset	0.000	eV per atom
total energy	-1.76	eV/atom
crystal system	tetragonal
volume	46.8	A^3/atom
space group	No. 123

a = 6.7084 Å, b = 6.7084 Å, c = 5.1960 Å
α = 90.00°, β = 90.00°, γ = 90.00°
Atoms (fractional coordinates):
Cs: 0.5000 0.5000 0.5000
Tl: 0.0000 0.0000 0.5000
K: 0.0000 0.5000 0.0000
K: 0.5000 0.0000 0.0000
Cu: 0.0000 0.0000 0.0000

[7]
VASP calculation (PBE) on a relaxed structure of CsK2TlCu.
*/

I skip your music MWOF because I don't really get much out of music criticism in general.  Books and movies have plots and characters that can be broken down and analyzed for symbolism.  I can ponder what I think works and what the best elements of a work are.  Even when I haven't experienced the work directly I still

Oh, now I get it.  Took me a while.

Oh, now I get it.  Took me a while.

Not gonna happen.  Julia Stiles didn't.

Not gonna happen.  Julia Stiles didn't.

Hmm, I don't know if a bunch of people misinterpreting it can really make it a bad film though.  Douglas's scenes may have portrayed him as the sympathetic character while portraying others in a mean-spirted way, but I think that was because they were supposed to represent how he was thinking and justifying his

Hmm, I don't know if a bunch of people misinterpreting it can really make it a bad film though.  Douglas's scenes may have portrayed him as the sympathetic character while portraying others in a mean-spirted way, but I think that was because they were supposed to represent how he was thinking and justifying his

Comparing the evils of various genocides can be interesting.  So the holocaust was bad, but perhaps Stalin's famine in the Ukraine was worse.  Killed about the same number of people and stimulated a dramatic rise in cannibalism, some direct, some with livestock as an intermediary.  Talking about the famine in public

Comparing the evils of various genocides can be interesting.  So the holocaust was bad, but perhaps Stalin's famine in the Ukraine was worse.  Killed about the same number of people and stimulated a dramatic rise in cannibalism, some direct, some with livestock as an intermediary.  Talking about the famine in public

Yeah Alien doesn't hold up on repeat viewings.  It isn't filled with iconic scenes that terrify me every time I watch it.  It doesn't have a ton of disturbing sexual imaginary that increases the sense of unease that primes you for the more visceral scenes.  It isn't filled with a ton of visual detail in the unique

Yeah Alien doesn't hold up on repeat viewings.  It isn't filled with iconic scenes that terrify me every time I watch it.  It doesn't have a ton of disturbing sexual imaginary that increases the sense of unease that primes you for the more visceral scenes.  It isn't filled with a ton of visual detail in the unique

Naw, it may mean a misalignment at the year 1 but the 90s were Jan 1st 1990- Dec 31st 1999. I dont really see why we would worry about a problem that occurred 2000 years ago anyway.